Laura Chasin
Director of the Public Conversations Project, Watertown, Massachusetts
Interviewed by Julian Portilla, 2003
This rough transcript provides a text alternative to audio. We apologize for occasional errors and unintelligible sections (which are marked with ???).
A: The actual facilitating the dialogue was less, I won't say it was, it was less demanding than I think many people might imagine. And that gets into how our dialogues go.
The beginnings are very formal, very structured. We have learned that the more anxiety people have about the first encounter, the more structured they are. You may have heard from one of my colleagues that one of our assumptions is that learning occurs, and learning can be prevented from either too much anxiety or too little and that there's sort of a middle ground. But in these issues, structure lowers anxiety for most people who come to the dialogues that we've facilitated. So the beginnings are quite ritualized really, very structured, very specific questions. Each question everyone responds to in turn, there are very clear instructions about when cross talk can happen. There are many reasons for this, one of which has to do with modulating anxiety, so that people feel safe to drop all the communication and linguistic habits that they bring, as well as safe to entertain and take in the reality of this other person. The other reason for it is for it's building capacity for listening and in speaking to the participants. A whole part of our dialogues, how they go, is they start out very, very structured, and then as the participants pick up the skill set and the attitudes and internalize the ground rules, we as facilitators back way off. So we're very central in the beginning in terms of implementing these structures, it's usually a little more to do frankly, other than remind people about them.
Q: As a facilitator you don't do much more than
A: No, there's this ingenuity that goes in to the design. First there's this preparation and then those first four, well the first session is tightly designed from beginning to end, starting with easy. You know, it's like stepping toward the more difficult, stepping in incremental steps towards what we've learned with conversations with them. We've interviewed them about their concerns and what they are hoping won't happen and what are the signs that it's going off track and that sort of thing. So over time, you've got to be prepared to back off. Every time as a facilitator, that's why we like structure so much is because no matter how brilliant your move as a facilitator in a dialogue, the action is between the participants, not between the participants and you. Every time you interrupt with what's going on in the room, you're interfering. It is far better to drop a ball rolling, like a question in a structured sequence of speaking and let them give their responses to each other, rather than to be interacting through you.
Inserted here: calculated crystals.
Entry 1:
This record from the Alexandria database describes crystalline KAlZn at its relaxed geometry. The functional is PBEsol.

Properties
Symmetry: F-43m
Formation enthalpy at 0 K in eV per atom: 0.945
E in eV/atom: -1.32
Density in Mg/m³: 2.194
Magnetic moment in μB/atom: 0.000

Cell and atoms, written as extended XYZ:
```
3
Lattice="5.201 0.000 0.000 2.601 4.505 0.000 2.601 1.502 4.247" Properties=species:S:1:pos:R:3 pbc="T T T"
Al 5.201 3.003 2.123
Zn 0.000 0.000 0.000
K 7.802 4.505 3.185
```



Entry 2:
This record from the Alexandria database describes crystalline K2Al2Zn at its relaxed geometry. The functional is PBEsol.

Properties
Symmetry: P4/mbm
Formation enthalpy at 0 K in eV per atom: 0.271
E in eV/atom: -2.14
Density in Mg/m³: 2.407
Magnetic moment in μB/atom: 0.000

Cell and atoms, written as extended XYZ:
```
10
Lattice="5.883 0.000 0.000 0.000 6.807 0.000 0.000 0.000 6.807" Properties=species:S:1:pos:R:3 pbc="T T T"
K 2.941 1.240 4.644
K 2.941 5.567 2.163
Al 0.000 0.937 2.466
K 2.941 2.163 1.240
Zn 0.000 3.404 3.404
Zn 0.000 0.000 0.000
Al 0.000 4.341 0.937
K 2.941 4.644 5.567
Al 0.000 2.466 5.870
Al 0.000 5.870 4.341
```



Entry 3:
This record from the Alexandria database describes crystalline K2AlZn at its relaxed geometry. The functional is PBEsol.

Properties
Symmetry: I-4m2
Formation enthalpy at 0 K in eV per atom: 0.373
E in eV/atom: -1.61
Density in Mg/m³: 2.533
Magnetic moment in μB/atom: 0.002

Cell and atoms, written as extended XYZ:
```
4
Lattice="-1.250 -2.524 -4.595 5.189 0.516 1.466 2.771 -4.328 1.624" Properties=species:S:1:pos:R:3 pbc="T T T"
K 2.975 -1.455 -0.010
Zn 0.760 -3.426 -1.485
K 0.000 0.000 0.000
Al 3.735 -4.881 -1.495
```



Entry 4:
This record from the Alexandria database describes crystalline KZr2Al at its relaxed geometry. The functional is PBEsol.

Properties
Symmetry: P4/mmm
Formation enthalpy at 0 K in eV per atom: 0.207
E in eV/atom: -5.64
Density in Mg/m³: 4.140
Magnetic moment in μB/atom: 0.000

Cell and atoms, written as extended XYZ:
```
4
Lattice="3.044 0.000 0.000 0.000 3.044 0.000 0.000 0.000 10.759" Properties=species:S:1:pos:R:3 pbc="T T T"
Al 1.522 1.522 0.000
K 1.522 1.522 5.380
Zr 0.000 0.000 8.810
Zr 0.000 0.000 1.949
```



Question: What is the E in the first record?
Answer: -1.32 eV/atom



Question: Among the records above, which one has the highest formation enthalpy at 0 K?
Answer: KAlZn



Question: What is the E in the fourth record?
Answer: -5.64 eV/atom



Please write out number 3 again, unchanged.
This record from the Alexandria database describes crystalline K2AlZn at its relaxed geometry. The functional is PBEsol.

Properties
Symmetry: I-4m2
Formation enthalpy at 0 K in eV per atom: 0.373
E in eV/atom: -1.61
Density in Mg/m³: 2.533
Magnetic moment in μB/atom: 0.002

Cell and atoms, written as extended XYZ:
```
4
Lattice="-1.250 -2.524 -4.595 5.189 0.516 1.466 2.771 -4.328 1.624" Properties=species:S:1:pos:R:3 pbc="T T T"
K 2.975 -1.455 -0.010
Zn 0.760 -3.426 -1.485
End of the calculated crystals.
Q: They're talking to you versus talking to each other.
A: No.
I think it was in the fourth meeting, I had some brilliant idea about what they could do. One of them turned to me and said, "You know, we get it. We get it who they are. Would you just get out of the way and let us talk to each other?" That had a big impact on me, so I think part of our...
Q: Were you thrilled, or were you insulted?
A: At that moment, I didn't know what to do. I wasn't insulted. I was sort of like taken aback. And this was like the fourth dialogue we ever did. I think that was one of the things that inclined us toward looking for structure versus looking for facilitation to carry most of the ball, also because it takes less skill.
Q: That sounds like an invisible facilitation.
A: That's our goal. That's my goal as a facilitator is to become invisible.
Unrelated to this article: records of crystals.
=====
[1]
! ZnSNO2 (PBE-GGA, optimized geometry); values from VASP
! ρ, Mg/m³: 4.13
! E_form (uncorrected), eV per atom: 1.2067
&SYSTEM
  ibrav = 0, nat = 5, ntyp = 4
/
ATOMIC_SPECIES
S 32.06 S.upf
O 16.00 O.upf
Zn 65.41 Zn.upf
N 14.01 N.upf
CELL_PARAMETERS angstrom
3.797 0.000 0.000
0.000 3.797 0.000
0.000 0.000 4.000
ATOMIC_POSITIONS crystal
S 0.500 0.500 0.500
O 0.000 0.500 0.000
O 0.500 0.000 0.000
Zn 0.000 0.000 0.000
N 0.000 0.000 0.500

[2]
! ZnSNO2 (PBE-GGA, optimized geometry); values from VASP
! ρ, Mg/m³: 4.94
! E_form (uncorrected), eV per atom: 0.4899
&SYSTEM
  ibrav = 0, nat = 5, ntyp = 4
/
ATOMIC_SPECIES
N 14.01 N.upf
O 16.00 O.upf
Zn 65.41 Zn.upf
S 32.06 S.upf
CELL_PARAMETERS angstrom
-1.696 -1.879 2.359
0.974 -2.903 -1.612
3.324 -0.147 2.273
ATOMIC_POSITIONS crystal
N 0.000 0.000 0.500
O 0.500 0.000 0.000
O 0.000 0.500 0.000
Zn 0.500 0.500 0.500
S 0.000 0.000 0.000

[3]
! ZnS2NO (PBE-GGA, optimized geometry); values from VASP
! ρ, Mg/m³: 3.88
! E_form (uncorrected), eV per atom: 1.3696
&SYSTEM
  ibrav = 0, nat = 5, ntyp = 4
/
ATOMIC_SPECIES
O 16.00 O.upf
Zn 65.41 Zn.upf
S 32.06 S.upf
N 14.01 N.upf
CELL_PARAMETERS angstrom
-0.462 3.688 2.017
-0.368 -2.057 3.677
3.784 0.204 0.493
ATOMIC_POSITIONS crystal
O 0.000 0.000 0.000
Zn 0.500 0.500 0.500
S 0.000 0.500 0.000
S 0.500 0.000 0.000
N 0.000 0.000 0.500

[4]
! ZrS2NO (PBE-GGA, optimized geometry); values from VASP
! ρ, Mg/m³: 4.71
! E_form (uncorrected), eV per atom: 0.4531
&SYSTEM
  ibrav = 0, nat = 5, ntyp = 4
/
ATOMIC_SPECIES
S 32.06 S.upf
Zr 91.22 Zr.upf
O 16.00 O.upf
N 14.01 N.upf
CELL_PARAMETERS angstrom
-3.398 -0.892 1.954
1.839 -3.097 1.785
1.116 2.416 3.043
ATOMIC_POSITIONS crystal
S 0.500 0.000 0.000
S 0.000 0.500 0.000
Zr 0.500 0.500 0.500
O 0.000 0.000 0.000
N 0.000 0.000 0.500

[5]
! ZrS2NO (PBE-GGA, optimized geometry); values from VASP
! ρ, Mg/m³: 2.81
! E_form (uncorrected), eV per atom: 0.6101
&SYSTEM
  ibrav = 0, nat = 5, ntyp = 4
/
ATOMIC_SPECIES
S 32.06 S.upf
O 16.00 O.upf
N 14.01 N.upf
Zr 91.22 Zr.upf
CELL_PARAMETERS angstrom
-1.641 -4.375 1.959
2.709 0.862 4.194
-3.327 2.024 1.733
ATOMIC_POSITIONS crystal
S 0.000 0.500 0.000
S 0.500 0.000 0.000
O 0.500 0.500 0.500
N 0.000 0.000 0.500
Zr 0.000 0.000 0.000

[6]
! ZrSNO2 (PBE-GGA, optimized geometry); values from VASP
! ρ, Mg/m³: 5.21
! E_form (uncorrected), eV per atom: -0.1974
&SYSTEM
  ibrav = 0, nat = 5, ntyp = 4
/
ATOMIC_SPECIES
S 32.06 S.upf
N 14.01 N.upf
O 16.00 O.upf
Zr 91.22 Zr.upf
CELL_PARAMETERS angstrom
-1.827 -2.979 -1.454
3.226 -1.981 0.004
-0.760 -1.231 3.478
ATOMIC_POSITIONS crystal
S 0.000 0.000 0.000
N 0.000 0.000 0.500
O 0.500 0.000 0.000
O 0.000 0.500 0.000
Zr 0.500 0.500 0.500

[7]
! ZrSN2O (PBE-GGA, optimized geometry); values from VASP
! ρ, Mg/m³: 5.46
! E_form (uncorrected), eV per atom: 0.1473
&SYSTEM
  ibrav = 0, nat = 5, ntyp = 4
/
ATOMIC_SPECIES
O 16.00 O.upf
Zr 91.22 Zr.upf
N 14.01 N.upf
S 32.06 S.upf
CELL_PARAMETERS angstrom
3.777 0.000 0.000
0.000 3.777 0.000
0.000 0.000 3.570
=====
And then being, because you're not trying and have a lot of pre-conceived ideas, you're able to access your spontaneity and creativity to build off their cues.
This mostly comes later when the structure lessens.
Q: So over time it does lessen?
A: Over time, oh yes, it is the same principle. It was like running a meeting. They would forget about the ground rules. The role of a facilitator in our work, it's very bounded really because of the reliance on structure, and we always forget, you know, this is not the normal way people talk to each other in this culture anymore and you'll probably all forget, and will you authorize us to remind you when you forget?
Q: As there's less structure, what becomes the role of the facilitator?
A: Well, because we continued the practice of phone calls, we would come in with a draft agenda. We would take notes. We would do stuff on news trends. We'd keep them on task. You know, you wanted to have a conversation about 'A', but it looks like you're moving in the direction of "B". What do you want to do? Do you want to change, be explicit about making a change, or go back? We sort of take the observer role. We would sometimes even write reflections to them, which we would read at the beginning. There was actually one moment where we recommended discontinuing the dialogue because it seemed to us that it had loss focus. I remember after the first meeting, which was quite astonishing, we wrote our reflection based on our knowledge about what can happen in these things, anticipating that it might be more difficult. I'd say that we become like observers and we give feedback like, "Four of you feel this way and two of you feel this way, is that right?" Or saying, "I'm not sure where you're going here, where are you going?"
Q: So it becomes more of a traditional facilitation role?
A: Yeah, because the relationships changed, it becomes very traditional.
Q: Because you can have that level of discussion at that point because the relationship is
A: Because they've got the skills to engage around their differences in ways that promote where there's some momentum, and it's not arguing. One of our ground rules that's really hard is, no persuasion. You can want to persuade, but persuasive rhetoric and attack of the rhetoric of the others is not allowed. We are very tight about what kind of speech is used. Now with them, as it went along, they agreed to loosen some of the original ground rules.